Assignment.
The reader should write out the lines below from the one with "-0.391" to the one with "8.35" character by character.

Listing.
=====
Entry from OMol25: a molecular structure, C6H10 at a distorted geometry (ωB97M-V/def2-TZVPD).

The spin multiplicity is 1. The calculation puts the energy above the lowest of the compared OMol25 structures with the same formula, charge and spin at 110.0 kcal/mol. The calculation puts the highest occupied orbital energy at -6.8 eV. The lowest unoccupied orbital energy is 0.1 eV. The HOMO-LUMO gap comes out at 6.9 eV.

Last column: Mulliken charge in e.
Element x y z (Å)
C -0.11 2.24 0.14  -0.993
C -0.02 -1.43 1.50  -0.862
C 0.46 0.85 -0.08  -0.178
C -0.26 -0.19 -0.63  0.477
C 0.15 -1.24 -1.62  -1.198
C -0.66 -0.49 0.69  -0.397
H -1.63 -0.18 0.99  0.431
H 0.66 2.92 0.60  0.312
H 1.47 0.71 0.27  0.355
H 1.12 -1.58 -1.45  0.336
H -0.52 -2.12 -1.45  0.292
H 0.11 -0.90 -2.66  0.356
H 1.07 -1.56 1.30  0.191
H -0.99 2.23 0.82  0.297
H -0.46 -1.89 2.39  0.306
H -0.38 2.64 -0.82  0.275


Entry from OMol25: a molecular structure, C4H6B3F12LiO3 at a distorted geometry (ωB97M-V/def2-TZVPD).

The spin multiplicity is 1. The calculation puts the energy above the lowest of the compared OMol25 structures with the same formula, charge and spin at 17.9 kcal/mol. The calculation puts the highest occupied orbital energy at -5.5 eV. As for the net charge: -2. The lowest unoccupied orbital energy is 4.7 eV. The HOMO-LUMO gap comes out at 10.2 eV.

Last column: Mulliken charge in e.
Element x y z (Å)
F -6.52 2.02 -0.40  -0.373
F -4.39 0.59 -4.37  -0.388
F -6.06 1.53 -5.47  -0.397
F -6.89 3.71 1.01  -0.398
F -5.52 3.86 -0.84  -0.399
F -8.46 3.11 -1.34  -0.365
F -9.89 4.48 -2.53  -0.406
F -7.67 4.80 -2.55  -0.279
F -6.43 0.78 -3.39  -0.418
F -8.65 3.12 -3.49  -0.240
F -5.08 2.54 -3.70  -0.454
F -4.88 2.61 1.00  -0.436
O -6.64 6.88 -6.92  -0.390
O -5.23 8.68 -7.08  -0.637
O -6.22 8.08 -5.18  -0.384
C -7.26 6.22 -5.79  0.240
C -7.37 7.34 -4.77  -0.107
C -6.30 5.02 -5.43  -1.181
C -5.92 7.88 -6.46  0.686
B -8.65 3.92 -2.46  0.205
B -5.97 3.09 0.20  0.631
B -5.50 1.36 -4.25  0.636
Li -6.46 3.10 -2.44  1.067
H -7.37 6.90 -3.78  0.121
H -5.24 5.31 -5.47  0.343
H -8.30 7.91 -4.87  0.254
H -6.72 4.53 -4.56  0.329
H -6.41 4.30 -6.24  0.351
H -8.20 5.74 -6.09  0.385


Entry from OMol25: 4 unconnected molecules or ions with the total composition C27H60IN5O6Si (ωB97M-V/def2-TZVPD).

As for the SMILES: NC[Si@@H](CCCI)c1ccncc1.COCCNCCOC.COCCNCCOC.COCCNCCOC. The spin multiplicity is 1. The calculation puts the highest occupied orbital energy at -8.4 eV. The lowest unoccupied orbital energy is 0.6 eV. The HOMO-LUMO gap comes out at 9.0 eV.

Last column: Mulliken charge in e.
Element x y z (Å)
I 6.46 -1.62 -2.99  -0.030
Si 4.82 2.89 -5.26  0.032
O -8.21 -0.16 -2.94  -0.352
O 0.64 -3.92 4.21  -0.186
O 2.49 0.29 -1.46  -0.416
O -1.24 -1.13 0.93  -0.391
O -4.68 1.22 -0.24  -0.320
O 3.54 -2.50 7.56  -0.419
N 1.00 -4.29 7.11  -0.291
N 6.94 4.40 -4.17  -0.530
N 0.14 3.09 -4.97  -0.615
N 0.48 1.27 0.76  -0.278
N -7.48 -0.19 -0.09  -0.288
C 2.94 3.03 -5.17  0.839
C 1.74 1.49 -1.45  0.271
C 2.29 3.79 -4.19  -0.276
C -0.42 -3.99 5.15  -0.817
C 1.42 2.02 -0.06  -1.000
C -9.13 0.06 -1.87  -0.785
C 7.48 0.23 -3.38  -1.230
C 0.74 2.37 -5.90  -0.438
C 3.42 -2.27 6.17  -0.535
C -6.66 0.39 0.97  -0.814
C -0.86 1.15 0.21  -0.079
C -4.97 1.20 -1.63  -0.747
C 2.12 2.30 -6.04  -0.386
C 6.86 1.04 -4.49  -0.515
C -5.75 1.56 0.61  -0.524
C 5.57 4.54 -4.72  -0.560
C -7.94 -1.51 -3.23  -0.726
C 0.00 -3.45 6.49  -0.238
C 1.58 -3.77 8.35  -0.726
C 0.90 3.78 -4.13  -0.385
C 2.33 -2.45 8.29  -0.464
C -8.44 0.71 -0.69  -0.220
C 1.74 -0.90 -1.32  -0.630
C -1.71 0.21 1.03  -0.671
C -0.68 -1.65 2.11  -0.681
C 1.17 -5.17 3.81  -0.896
C 5.39 1.43 -4.25  -0.480
H -0.49 -2.71 1.95  0.253
H 0.40 4.35 -3.36  0.395
H 7.47 1.95 -4.58  0.298
H -2.73 0.25 0.63  0.254
H -5.71 1.96 -1.89  0.331
H 2.55 1.69 -6.82  0.351
H -1.33 2.14 0.21  0.373
H 5.15 2.64 -6.69  -0.196
H 4.74 0.59 -4.51  0.508
H -7.33 0.72 1.77  0.391
H 6.94 0.49 -5.43  0.330
H 4.94 4.98 -3.95  0.330
H 7.12 5.12 -3.48  0.205
=====

Response.
O -1.24 -1.13 0.93  -0.391
O -4.68 1.22 -0.24  -0.320
O 3.54 -2.50 7.56  -0.419
N 1.00 -4.29 7.11  -0.291
N 6.94 4.40 -4.17  -0.530
N 0.14 3.09 -4.97  -0.615
N 0.48 1.27 0.76  -0.278
N -7.48 -0.19 -0.09  -0.288
C 2.94 3.03 -5.17  0.839
C 1.74 1.49 -1.45  0.271
C 2.29 3.79 -4.19  -0.276
C -0.42 -3.99 5.15  -0.817
C 1.42 2.02 -0.06  -1.000
C -9.13 0.06 -1.87  -0.785
C 7.48 0.23 -3.38  -1.230
C 0.74 2.37 -5.90  -0.438
C 3.42 -2.27 6.17  -0.535
C -6.66 0.39 0.97  -0.814
C -0.86 1.15 0.21  -0.079
C -4.97 1.20 -1.63  -0.747
C 2.12 2.30 -6.04  -0.386
C 6.86 1.04 -4.49  -0.515
C -5.75 1.56 0.61  -0.524
C 5.57 4.54 -4.72  -0.560
C -7.94 -1.51 -3.23  -0.726
C 0.00 -3.45 6.49  -0.238
C 1.58 -3.77 8.35  -0.726